James had barely made it to the entrance of the dinning room after having to duel three of Cedric's goons at once. Leaving him with a nasty gash on his cheek and a couple of bruises littered all across his body. Nothing he couldn't handle in his mind.

**These molecular data were left in the entry by mistake**
~~~
Entry 1:
The following is a DFT calculation (the ωB97M-V functional and the def2-TZVPD basis) of an isolated molecule of C4H8.

```
12
Properties=species:S:1:pos:R:3:forces:R:3
H -0.419329 -0.857584 2.432697 0.2 -0.6 -0.5
H -0.936816 -1.266882 -0.060701 -0.4 0.5 0.6
H 0.350808 1.243643 -2.726236 0.1 0.2 0.1
H -0.943510 1.228123 -0.576323 0.3 0.3 -0.3
H 0.680792 -1.298056 0.075544 0.4 0.6 -0.1
C -0.171759 0.497026 -0.817051 0.1 0.4 0.3
H 1.117502 -0.346841 -2.206590 0.5 0.3 0.1
H -0.788962 0.701507 1.959428 -0.3 0.0 -0.9
C -0.127500 -0.566406 0.224860 -0.2 -2.0 -0.8
C -0.138918 -0.136165 1.661689 0.0 1.3 1.6
C 0.543879 0.533883 -1.935684 -0.8 -0.7 -0.1
H 0.833816 0.267749 1.968363 0.1 -0.3 -0.2
```
Positions in Å, forces in eV/Å.

Computed properties:
Relative energy (zero: lowest compared OMol25 entry of this formula, charge and spin)   12.4 kcal per mole
SMILES   C=CCC
E_LUMO   1.27 eV
HOMO   -9.57 eV
Total charge   0
DFT total energy   -4276.6538 eV
Frontier orbital gap   10.835 eV

These are the Löwdin partial charges, in e, on atoms 1 to 5:
1. H 0.07
2. H 0.12
3. H 0.05
4. H 0.10
5. H 0.11

---

Entry 2:
The following is a DFT calculation (the ωB97M-V functional and the def2-TZVPD basis) of a 2-piece molecular cluster, C5H14 overall.

```
19
Properties=species:S:1:pos:R:3:forces:R:3
C -0.847907 -1.275980 -0.857607 3.6 2.1 1.0
H -0.037310 -0.449863 -1.071481 -1.2 -1.4 0.5
H 1.065463 2.244307 3.067779 1.0 0.1 -1.6
H 1.054545 0.789489 2.193564 -0.5 0.3 -0.8
C -2.110624 -0.519542 -0.526662 -3.7 -6.8 -3.1
C -0.873774 -2.239366 -2.032060 -0.1 -2.4 1.9
C 1.208055 1.864971 1.991331 -1.0 0.4 0.5
H 2.700494 1.474114 0.347836 -0.5 0.2 0.2
H -2.753125 -1.285152 0.058828 0.9 1.8 0.1
H -1.480164 -3.096044 -1.381803 0.8 1.4 -3.0
H 3.277612 1.697087 2.024263 0.1 0.9 -1.1
H -1.357575 -1.722479 -2.943880 0.7 -1.5 1.4
H -2.834128 -0.521935 -1.436134 1.5 0.8 1.0
H 0.191856 -2.746678 -2.231532 -2.4 1.4 0.2
C 2.550937 2.074872 1.254152 0.1 0.8 1.8
H 2.615666 3.186241 0.999771 0.6 -1.6 0.4
H 0.428494 2.420669 1.407160 0.1 -1.2 0.5
H -1.929018 0.373202 -0.144372 0.3 3.8 2.0
H -0.502927 -1.792678 0.135088 -0.3 0.8 -1.9
```
Positions in Å, forces in eV/Å.

Computed properties:
Relative energy (zero: lowest compared OMol25 entry of this formula, charge and spin)   51.5 kcal per mole
SMILES   CCC.CC
E_LUMO   1.04 eV
HOMO   -10.49 eV
Total charge   0
DFT total energy   -5409.8180 eV
Frontier orbital gap   11.536 eV

These are the Löwdin partial charges, in e, on atoms 1 to 5:
1. C -0.43
2. H 0.11
3. H 0.08
4. H 0.05
5. C -0.14

---

Entry 3:
The following is a DFT calculation (the ωB97M-V functional and the def2-TZVPD basis) of an isolated ion of composition C3HBrNOS2 and charge -1.

```
9
Properties=species:S:1:pos:R:3:forces:R:3
S -0.381156 -2.428651 0.768865 -0.4 -1.0 0.5
C 0.882025 -0.029566 -2.241199 0.9 -4.1 0.9
O 0.750584 0.712848 -1.156869 -0.3 0.3 -0.1
C 0.222930 -1.459116 -0.427448 0.4 1.8 -0.1
Br 0.831954 -3.111912 -2.784182 -0.1 0.0 0.0
~~~
**The entry goes on**

If he had thought that outside the dining room was chaos, the previous centre of the party was full on hell. It was packed to the brim with either fallen debris, goons, or guests. Dust filling the room after every couple of seconds due to another stray spell.

"Expelliarmus!" James first spotted his father at the very edge, his sleeve was torn and one of the lenses of his glasses were broken, but aside from that he seemed alright.

Only four family members left to find.

"Dad!" With a last wave of his wand, Harry sent a goon flying into the wall while James ran towards him, hopping over the fallen bodies and debris.

As soon as he was within arms reach, Harry pulled James into a tight hug, both of their wands still on the ready.

"Are you okay?" James nodded, his eyes surveying the room.

"I'm fine. Where's Lily, Mum and Albus?" Harry ran a hand through his hair, waving has wand lazily while shooting another goon flying into a wall.

"I... I don't know. Last I saw Al was with Gavin and Ty, and Lily with Scorpious." James nodded and begun to leave to find them but Harry latched on to his wrist.

"And where do you think you're going?"

"To find them." Harry immediately shook his head.

"No you aren't, go to your grandparent's we'll meet you there." James sighed.

"You should know by now Dad, I don't listen to orders." Before he could protest further, James had already run away in search for his siblings, and hopefully the remaining Woods.

Not even two minutes into his search, James came to face with a goon being chased by what looked like a goose made of silvery whisps while it quacked after them.

Following the trajectory of the patronus goose, James found Leslie, her wand pointed directly at the running goon, a deathly glare on her face that almost made James cower.

...Well it did make James cower.

"Les, have you seen any of my siblings? Or Neo?" Leslie shook her head vigorously, not breaking eye contact with her patronus. After all it did require lots of focus to maintain a figure.

"Sorry. Do you know where everyone else has gone?"

"They're at my grandparent's. Fred can take you." Leslie growled lowly, finally letting the patronus vanish into thin air.

"If I could only find the idiot, that is."

Suddenly a rotten smell filled their nostrils that made everyone within a six feet radius begin coughing vigorously while they tried to cover their noses with their sleeves while questioning its origin.

Although it wouldn't remain a secret for long as a crack sounded next to Leslie and James in which Fred appeared with a joyous grin, almost as if he was in the middle of planning a prank and not in a full blown battle.

"That's the best use for a dung-bomb if you ask
me." Leslie glared at him while casting a bubble-head charm on herself so she could breathe properly.

"Why are you so smiley? Your sister could still be out there and you can barely breathe in here." Fred shrugged, scratching the back of his head with the tip of his wand before it got caught between one of his curls and had to begin to tug to get it out.

Red Roses  {James Potter x OC} | Discontinued |Where stories live. Discover now